Data
- - -
{"formula": "BaCoNiRu2", "functional": "PBE-GGA", "state": "optimized geometry", "formation_energy_ev_per_atom": 2.8242, "cell": [[4.967, 0.000, 0.000], [0.000, 4.675, 0.000], [0.000, 0.000, 4.967]], "species": ["Ni", "Ru", "Ru", "Co", "Ba"], "fractional_positions": [[0.500, 0.500, 0.500], [0.000, 0.000, 0.500], [0.500, 0.000, 0.000], [0.000, 0.500, 0.000], [0.000, 0.000, 0.000]]}

* * * * *

(1)
The following is a DFT calculation (PBE) of a geometry-optimized Tm2UTl3Te6 structure.

```
Tm2UTl3Te6
1.0
-5.468 2.609 -4.703
-1.610 -5.550 5.042
0.269 6.657 5.467
Tm U Tl Te
2 1 3 6
Direct
0.333 0.667 0.000
0.667 0.333 0.000
0.000 0.000 0.000
0.164 0.836 0.500
0.836 0.164 0.500
0.500 0.500 0.500
0.929 0.588 0.787
0.730 0.730 0.212
0.071 0.412 0.213
0.588 0.929 0.787
0.270 0.270 0.788
0.412 0.071 0.213
```

Summary:
- Formation energy without anion corrections: -846 meV/atom
- Total magnetization: 3.02 μB per cell
- Density of states at the Fermi level: 3.9 states/eV/cell

***

(2)
The following is a DFT calculation (PBE) of a geometry-optimized Y2TmTl3Te6 structure.

```
Y2TmTl3Te6
1.0
-4.048 -3.936 5.222
0.218 -2.401 -7.303
7.871 -2.427 2.383
Y Tm Tl Te
2 1 3 6
Direct
0.334 0.666 0.000
0.666 0.334 0.000
0.000 0.000 0.000
0.168 0.832 0.500
0.832 0.168 0.500
0.500 0.500 0.500
0.929 0.599 0.788
0.741 0.741 0.213
0.071 0.401 0.212
0.599 0.929 0.788
0.259 0.259 0.787
0.401 0.071 0.212
```

Summary:
- Formation energy without anion corrections: -1055 meV/atom
- Total magnetization: 0.00 μB per cell

***

(3)
The following is a DFT calculation (PBE) of a geometry-optimized UTlTe3 structure.

```
UTlTe3
1.0
5.864 0.000 -0.244
0.000 5.943 0.000
-0.890 0.000 11.427
U Tl Te
2 2 6
Direct
0.459 0.750 0.349
0.541 0.250 0.651
0.008 0.250 0.157
0.992 0.750 0.843
0.633 0.250 0.901
0.367 0.750 0.099
0.960 0.750 0.353
0.040 0.250 0.647
0.495 0.250 0.379
0.505 0.750 0.621
```

Summary:
- Energy above the most stable polymorph in this dataset: 0.017 eV per atom
- Formation energy without anion corrections: -365 meV/atom
- Total magnetization: 2.05 μB per cell
- Density of states at the Fermi level: 11.0 states/eV/cell
- - -
Exercise
The reader should copy the whole of the rows above with every line break kept.
Done
{"formula": "BaCoNiRu2", "functional": "PBE-GGA", "state": "optimized geometry", "formation_energy_ev_per_atom": 2.8242, "cell": [[4.967, 0.000, 0.000], [0.000, 4.675, 0.000], [0.000, 0.000, 4.967]], "species": ["Ni", "Ru", "Ru", "Co", "Ba"], "fractional_positions": [[0.500, 0.500, 0.500], [0.000, 0.000, 0.500], [0.500, 0.000, 0.000], [0.000, 0.500, 0.000], [0.000, 0.000, 0.000]]}

* * * * *

(1)
The following is a DFT calculation (PBE) of a geometry-optimized Tm2UTl3Te6 structure.

```
Tm2UTl3Te6
1.0
-5.468 2.609 -4.703
-1.610 -5.550 5.042
0.269 6.657 5.467
Tm U Tl Te
2 1 3 6
Direct
0.333 0.667 0.000
0.667 0.333 0.000
0.000 0.000 0.000
0.164 0.836 0.500
0.836 0.164 0.500
0.500 0.500 0.500
0.929 0.588 0.787
0.730 0.730 0.212
0.071 0.412 0.213
0.588 0.929 0.787
0.270 0.270 0.788
0.412 0.071 0.213
```

Summary:
- Formation energy without anion corrections: -846 meV/atom
- Total magnetization: 3.02 μB per cell
- Density of states at the Fermi level: 3.9 states/eV/cell

***

(2)
The following is a DFT calculation (PBE) of a geometry-optimized Y2TmTl3Te6 structure.

```
Y2TmTl3Te6
1.0
-4.048 -3.936 5.222
0.218 -2.401 -7.303
7.871 -2.427 2.383
Y Tm Tl Te
2 1 3 6
Direct
0.334 0.666 0.000
0.666 0.334 0.000
0.000 0.000 0.000
0.168 0.832 0.500
0.832 0.168 0.500
0.500 0.500 0.500
0.929 0.599 0.788
0.741 0.741 0.213
0.071 0.401 0.212
0.599 0.929 0.788
0.259 0.259 0.787
0.401 0.071 0.212
```

Summary:
- Formation energy without anion corrections: -1055 meV/atom
- Total magnetization: 0.00 μB per cell

***

(3)
The following is a DFT calculation (PBE) of a geometry-optimized UTlTe3 structure.

```
UTlTe3
1.0
5.864 0.000 -0.244
0.000 5.943 0.000
-0.890 0.000 11.427
U Tl Te
2 2 6
Direct
0.459 0.750 0.349
0.541 0.250 0.651
0.008 0.250 0.157
0.992 0.750 0.843
0.633 0.250 0.901
0.367 0.750 0.099
0.960 0.750 0.353
0.040 0.250 0.647
0.495 0.250 0.379
0.505 0.750 0.621
```

Summary:
- Energy above the most stable polymorph in this dataset: 0.017 eV per atom
- Formation energy without anion corrections: -365 meV/atom
- Total magnetization: 2.05 μB per cell
- Density of states at the Fermi level: 11.0 states/eV/cell